“She’ll be fine. This isn’t the first time,” he says with an unconcerned shrug.

“Oh,” I mouth at him and grab my own towel. Now I can understand her issues with him. He is a bit of a dog, really. Not that I am one to throw stones, of course, I might hastily add.

“Then why is…”

“She still around? It’s complicated,” he says.

I smile at him and say, “You are…”

“Finishing your sentences, I know,” he says with a soft smile back.

He fixes up his hair in the mirror, while his cock is still waiting to be dealt with. I am such a terrible person, but I am not finished with him yet, and neither is he with me. I reach into the folds of the towel and grab him. I tug him gently and he tries to protest, but I shush him with a finger to my lips. He closes his eyes and drops his head back as I work my hand up and down until he spills out all over my palm. He opens his eyes as I remove my hand from him, and he stares down into my eyes.

<<<
## Cr3B7BrO13 (GGA+U)

Data for a relaxed Cr3B7BrO13 crystal.

a = 8.693 Å, b = 8.693 Å, c = 8.693 Å
α = 60.00°, β = 60.00°, γ = 60.00°
Atoms (fractional coordinates):
Cr: 0.500 0.500 0.000
Cr: 0.500 0.000 0.000
Cr: 0.000 0.000 0.500
Cr: 0.000 0.500 0.000
Cr: 0.500 0.000 0.500
Cr: 0.000 0.500 0.500
B: 0.920 0.920 0.920
B: 0.420 0.740 0.420
B: 0.920 0.920 0.240
B: 0.240 0.920 0.920
B: 0.420 0.420 0.420
B: 0.740 0.420 0.420
B: 0.420 0.420 0.740
B: 0.920 0.240 0.920
B: 0.250 0.250 0.750
B: 0.250 0.750 0.750
B: 0.750 0.250 0.250
B: 0.250 0.750 0.250
B: 0.750 0.250 0.750
B: 0.750 0.750 0.250
Br: 0.750 0.750 0.750
Br: 0.250 0.250 0.250
O: 0.296 0.745 0.895
O: 0.895 0.064 0.296
O: 0.796 0.245 0.564
O: 0.245 0.395 0.564
O: 0.245 0.564 0.796
O: 0.245 0.796 0.395
O: 0.395 0.796 0.564
O: 0.564 0.796 0.245
O: 0.000 0.000 0.000
O: 0.500 0.500 0.500
O: 0.745 0.296 0.064
O: 0.395 0.245 0.796
O: 0.796 0.564 0.395
O: 0.395 0.564 0.245
O: 0.564 0.395 0.796
O: 0.564 0.245 0.395
O: 0.796 0.395 0.245
O: 0.064 0.296 0.895
O: 0.895 0.296 0.745
O: 0.296 0.895 0.064
O: 0.895 0.745 0.064
O: 0.296 0.064 0.745
O: 0.064 0.745 0.296
O: 0.745 0.895 0.296
O: 0.745 0.064 0.895
O: 0.064 0.895 0.745

Values from the calculation:
Electronic total energy   -377.7 eV for the cell shown
V   9.7 Å³ per atom


Here is a geometry-optimized ZnAgSbO4 structure from the Alexandria database. Energies are from PBE.

Computed properties:
V in A^3/atom: 17.24
Energy relative to the elements, uncorrected in eV per atom: -0.985

a = 5.270 Å, b = 5.270 Å, c = 8.688 Å
α = 90.00°, β = 90.00°, γ = 90.00°
Space group I-4 (No. 82)
Symmetry-distinct sites (fractional):
Zn 0.000 0.000 0.000 x2
Ag 0.000 0.500 0.250 x2
Sb 0.000 0.500 0.750 x2
O 0.176 0.748 0.871 x8


Here is a geometry-optimized ZnAg2SbO4 structure from the Alexandria database. Energies are from PBE.

Computed properties:
V in A^3/atom: 15.95
Energy relative to the elements, uncorrected in eV per atom: -0.793

a = 5.298 Å, b = 5.298 Å, c = 9.094 Å
α = 90.00°, β = 90.00°, γ = 90.00°
Space group I-4 (No. 82)
Symmetry-distinct sites (fractional):
Zn 0.000 0.000 0.000 x2
Ag 0.000 0.000 0.500 x2
Ag 0.000 0.500 0.750 x2
Sb 0.000 0.500 0.250 x2
O 0.180 0.253 0.126 x8


Here is a geometry-optimized Zn2AgSbO6 structure from the Alexandria database. Energies are from PBE.

Computed properties:
V in A^3/atom: 11.81
Energy relative to the elements, uncorrected in eV per atom: -0.944

a = 5.485 Å, b = 7.754 Å, c = 5.597 Å
α = 90.00°, β = 97.26°, γ = 90.00°
Space group P2_1/m (No. 11)
Symmetry-distinct sites (fractional):
Zn 0.015 0.250 0.061 x2
Zn 0.460 0.750 0.492 x2
Ag 0.000 0.000 0.500 x2
Sb 0.500 0.000 0.000 x2
O 0.111 0.750 0.601 x2
O 0.199 0.572 0.117 x4
O 0.347 0.062 0.661 x4
O 0.396 0.250 0.124 x2


Here is a geometry-optimized Sc2AgO structure from the Alexandria database. Energies are from PBE.

Computed properties:
V in A^3/atom: 23.25
Energy relative to the elements, uncorrected in eV per atom: -1.108
>>>

“You are so wicked,” he murmurs. “It is one of the things that I fell in love with first.” He tilts my chin up and he kisses me chastely.

“Come home,” I blurt out before he can turn from me.

“Has anything changed?’ he asks seriously.

I pause, but then I shake my head. I won’t lie to him. What would be the point?

“Then neither has my decision,” he says, and he leaves me in the bathroom, feeling his loss all over again.

A few moments later, I hear the door to the hotel room slam closed and I guess that is my cue to get out of here as well. I Astral on some clothes and make my way over to where I think I dropped the envelope when he kissed me. I find it on the table, next to a pile of shredded clothes. On top of it lies the divorce papers open to the page where my signature has to go.

It breaks my heart that Cole has already signed them. I pick up the pen, conveniently left for me, and I scrawl my name on the dotted line.

Chapter 7

I Astral back

home and land in my bedroom. I am sad after all this loss. I still feel empty inside after someone killed my baby. I will make them pay in ways that will bring their worst nightmares to life. Even if it turns out to be CK, although I am fairly sure he didn’t know about the baby when Xane told him.

“Aefre,” CK says. He is sitting on the bed and I hadn’t even seen or sensed him. I really miss that Vampire sixth sense.

“Hey,” I say as I turn to him.

“Where have you been?” he asks, standing up.

“Oh no,” I say, remembering the power he used before. “What the fuck, CK?”

“What do you mean?” he asks with a frown.

“That power you have suddenly acquired. Where in Hell did you get that from, and more importantly, how long have you had it?” I ask him suspiciously.

“Oh that,” he says, a bit embarrassed. “I was desperate to see you. It just came to me.”

# Next to the piece, the page also holds records of crystals
=====
## P
{"formula": "Mg2CrTc", "functional": "GGA-PBE", "state": "relaxed", "space_group": "No. 123", "lattice_angstrom": [[4.4870, 0.0000, 0.0000], [0.0000, 3.7741, 0.0000], [0.0000, 0.0000, 3.7741]], "species": ["Cr", "Mg", "Mg", "Tc"], "frac_coords": [[0.5000, 0.0000, 0.5000], [0.0000, 0.0000, 0.0000], [0.0000, 0.5000, 0.5000], [0.5000, 0.5000, 0.0000]]}

## Q
{"formula": "Mg2CrTc", "functional": "GGA-PBE", "state": "relaxed", "space_group": "No. 35", "lattice_angstrom": [[2.7897, 0.0035, 0.0000], [-1.0657, 2.5781, 0.0000], [0.0000, 0.0000, 9.1607]], "species": ["Cr", "Mg", "Mg", "Tc"], "frac_coords": [[0.5000, 0.5000, 0.7253], [0.0000, 0.0000, 0.9757], [0.5000, 0.5000, 0.2718], [0.0000, 0.0000, 0.5272]]}

## R
{"formula": "Mg2CrTc", "functional": "GGA-PBE", "state": "relaxed", "space_group": "No. 12", "lattice_angstrom": [[-3.7730, -2.6893, -2.5022], [5.0577, -1.1980, -0.8446], [0.0742, -2.1510, 1.5396]], "species": ["Cr", "Mg", "Mg", "Tc"], "frac_coords": [[0.0000, 0.5000, 0.5000], [0.0000, 0.0000, 0.0000], [0.5000, 0.5000, 0.0000], [0.5000, 0.0000, 0.5000]]}

Which structure is most stable? Q, by 0.115 eV/atom over the runner-up.

## P
{"formula": "MgCr3Tc", "functional": "GGA-PBE", "state": "relaxed", "space_group": "No. 221", "lattice_angstrom": [[-0.9502, 3.9480, -2.2858], [-3.9294, 0.4779, 2.4588], [2.3176, 2.4289, 3.2317]], "species": ["Cr", "Cr", "Cr", "Mg", "Tc"], "frac_coords": [[0.0000, 0.5000, 0.0000], [0.0000, 0.0000, 0.5000], [0.5000, 0.0000, 0.0000], [0.5000, 0.5000, 0.5000], [0.0000, 0.0000, 0.0000]]}

## Q
{"formula": "MgCr3Tc", "functional": "GGA-PBE", "state": "relaxed", "space_group": "No. 221", "lattice_angstrom": [[-3.9038, 1.9429, -1.2432], [0.0943, -2.3075, -3.9021], [-2.3047, -3.3853, 1.9463]], "species": ["Cr", "Cr", "Cr", "Mg", "Tc"], "frac_coords": [[0.0000, 0.5000, 0.0000], [0.0000, 0.0000, 0.5000], [0.5000, 0.0000, 0.0000], [0.0000, 0.0000, 0.0000], [0.5000, 0.5000, 0.5000]]}

Which structure is most stable? P, by 0.953 eV/atom over the runner-up.

=====

Density functional theory data (SCAN) for a crystal of TaMn2Ni relaxed with PBEsol.

Output
Uncorrected energy (Ha/atom): -1.1005
Relative energy among the computed polymorphs (meV per atom): 0
Spin magnetization (μB/atom): 0.947
Energy of formation from the pure elements (eV/atom): -0.130
D(E_F) (states/eV per cell): 2.90

Cell lengths 3.027, 3.027, 5.486 Å; angles 90.00, 90.00, 90.00 degrees
Space group P4mm (No. 99)
One atom of each set of equivalent atoms:
Ta: 0.000 0.000 0.000
Mn: 0.000 0.000 0.496
Mn: 0.500 0.500 0.268
Ni: 0.500 0.500 0.735



Density functional theory data (SCAN) for a crystal of NaSiIN2 relaxed with PBEsol.

Output
Uncorrected energy (Ha/atom): -0.4977
Formation energy from raw total energies (eV/atom): 0.37
Spin magnetization (μB/atom): 0.001
D(E_F) (states/eV per cell): 2.20

Cell lengths 3.666, 3.666, 6.178 Å; angles 90.00, 90.00, 90.00 degrees
Space group P4/mmm (No. 123)
One atom of each set of equivalent atoms:
Na: 0.000 0.000 0.000
=====
# The records of crystals stop here

“It just came to you?” I shriek at him. “CK, that was some heavy-duty power. You knocked Xane on his ass.”

“I have always had the capability to do that, Aefre,” he says haughtily. “I have just refrained myself for fear of facing your wrath.”

“With your bare hands maybe, but now with a bloody red cloud of power?” I remark. I turn my back to him and mutter, “You’ve never had offensive magick before.”

“You find my magick offensive?” he asks, but I can hear the smile in his voice.

“Doesn’t it worry you?” I ask. “That your powers are growing so much, so quickly?”

“No, the only thing that worries me is where you have been for the last hour or so,” he replies and just like that the subject is closed.